Author: Jenna Da Sie

  • Romance Writers Weekly ~ What’s In Your Fridge?

    Welcome to the blog hop! How is everyone doing? We’re trying to get resettled after our big vacation and two week break from school. Getting back into the swing of things has been difficult! All of us got up early and have been super tired! I think since we’ve been back a week now we…

  • Romance Writers Weekly ~ Unknown Facts

    Hello everybody, I’m back! My family and I just came back from a 2 week vacation in St. John’s Newfoundland. It was amazing, incredible and wonderful. My husband and I lived there for six years and my son was born there. We haven’t been back since he turned one and he just turned 8! It…

  • Romance Writers Weekly ~ New Goals

    Welcome fellow writers and readers. It’s great to have you here for our blog hop! I’m very excited to share that we will be traveling to the east coast of Canada for two weeks! We’re bringing the kids with us and can’t wait to show them around where we used to live and where my…

  • Romance Writers Weekly ~ Fall Flash Fiction

    Hello and welcome to the blog hop! Today we have a flash fiction. Let’s celebrate the equinox. Write a scene set in Autumn using the words Leaf, water, and coffee. Try to keep it to 500 words. If you missed what the talented Leslie Hachtel had to say, click back and read her story! Here’s…

  • Romance Writers Weekly ~ So Many Books, So Little Time!

    Welcome readers and bloggers! It’s time for the weekly blog hop. It’s finally cooler this week and by a good 20 degrees, so I’m happy. Today we are asked what are we reading now and why did you choose it? If you missed what the incredible Leslie Hachtel had to say, just click and pop…

  • Romance Writers Weekly ~ Writing Difficulties

    Welcome to the blog hop everyone! I hope your Labour Day weekend was a nice one. We’re suffering 114 degree heat for the next week here in California. It’s insane! It’s way too hot to do anything except sit inside. I’m looking forward to next week when it cools down to the 90’s, hah! Today…

Attached: records of molecules:
<<<
C38H78BN2O24S4 | ωB97M-V/def2-TZVPD

```
147
Properties=species:S:1:pos:R:3:forces:R:3
C 2.87043 4.15686 -1.27752 0.0 0.6 -0.8
H 0.96461 -4.96482 4.16724 -0.1 -0.1 0.0
H 2.24046 4.84254 -1.84653 -0.1 -0.2 -0.1
C 2.88035 2.04704 3.28173 -0.4 0.1 0.1
C 4.40706 2.69360 1.51939 -0.2 -0.6 -1.9
S -2.84797 -5.48232 -0.16793 0.6 -0.3 0.3
O 2.20779 -4.61535 -1.97646 -0.7 -0.1 -0.6
C 3.12070 2.22841 -3.12224 0.7 0.2 0.2
B -0.74224 -0.83398 0.45457 -0.1 0.0 0.4
O -2.02022 4.92816 -1.65267 -0.8 0.0 -0.2
H 4.07599 -1.92117 -0.78818 0.3 0.3 -0.7
O 2.55973 5.32282 3.66724 0.1 0.7 0.2
H 2.23488 3.33172 -0.96332 0.3 0.0 0.4
H 1.20947 -1.29530 -8.97100 0.4 -0.1 0.1
H 4.40832 -5.51112 -0.82154 -0.7 0.1 -0.1
O -0.69457 -2.77430 3.30112 -0.3 0.1 0.8
H 2.34948 1.18940 3.69519 0.1 -0.1 0.0
O -5.88082 0.30864 2.66788 0.1 1.2 0.7
O -5.89683 2.36558 1.74334 -0.7 0.1 0.3
C -3.80906 1.51722 2.43457 -1.0 -0.5 1.3
H -3.83917 -5.94973 -2.39695 -0.6 0.2 0.5
C 1.68675 -5.77861 4.06615 -0.5 0.4 -0.1
H -4.45117 2.31218 -1.50617 1.2 -0.3 0.0
H -2.05997 -4.04731 -2.03613 -0.3 0.1 0.2
H 0.32677 -2.90692 -2.87517 0.0 0.2 -0.1
H -2.47138 -6.86491 -2.08943 0.2 0.0 0.4
O 3.31371 0.55933 0.02840 -0.4 0.0 -0.1
H 4.70644 -2.86461 3.12770 -0.3 0.1 0.0
H -7.86897 0.88802 3.37080 0.6 0.4 0.1
H 4.79511 -0.34809 3.02754 0.0 -0.1 -0.1
O -2.13747 -1.33412 0.53876 0.1 0.3 -0.5
C 1.70888 -4.57147 1.66436 0.4 0.6 0.5
O -0.10142 -1.38678 1.65595 -0.3 -0.1 0.2
C 1.54367 5.99389 3.56298 0.0 -1.3 -0.4
H 3.31031 4.79695 -0.51486 0.1 -0.5 0.3
H 2.08803 2.52224 -3.29431 0.0 0.1 0.1
C -2.36571 -1.96656 1.68568 0.3 0.3 -0.3
C 2.89152 0.78477 1.15649 0.8 -0.3 -0.1
H 5.27427 2.77645 2.17125 -0.5 0.1 0.7
C -1.58341 0.93447 -4.56465 0.1 -0.2 0.2
C 1.03190 -2.55295 -7.18044 -0.3 0.5 -1.3
H 3.94750 3.64032 1.24020 0.4 0.3 0.5
H -0.97915 1.44064 -3.81032 -0.1 0.2 -0.1
H -7.02810 -1.82601 2.26536 0.1 0.0 0.0
C 3.13433 -1.96909 5.80453 -1.8 -1.1 -0.2
C 1.65817 -1.58681 5.89949 0.6 0.2 1.0
H 4.84719 2.29965 0.59895 -0.3 0.0 -0.1
C -0.70597 6.34688 2.71644 -0.8 0.8 -1.0
O 0.46508 -2.35137 -5.89979 -0.2 0.6 0.5
H 3.18613 1.43766 -2.37330 -0.1 0.1 0.1
H -3.60977 1.34589 3.49697 0.3 -0.2 -0.1
H 1.64837 -0.54858 -7.38965 -0.3 0.5 -0.3
O 0.85989 0.00729 -2.47679 0.7 0.3 0.3
S 4.11331 3.66223 -2.52632 -1.4 0.3 -0.8
H 2.00971 -6.07352 5.06299 0.7 0.2 -0.2
S 2.93520 -5.18732 2.86737 -0.5 -1.4 -0.3
H -1.48337 -3.56018 -0.39689 -0.4 0.2 -0.2
H -0.73833 -4.88288 -1.17216 -0.2 -0.5 -0.2
H 0.41758 4.36621 -3.64699 0.1 0.3 0.0
C -4.79200 0.63025 -2.76649 -0.6 0.7 -0.3
O -0.04515 -1.14695 -0.81157 0.0 -0.6 1.1
H -0.80980 7.19256 3.39754 0.6 -0.2 0.3
C -0.32384 -3.05038 -3.73212 0.0 -0.1 -1.9
H 0.76726 -5.11636 1.67164 0.1 -0.3 -0.1
H -3.20891 4.28680 1.38874 -0.7 0.2 -0.3
O -3.41149 -2.41233 2.03429 -0.2 -0.1 0.3
H 3.73838 2.31355 3.89964 0.0 -0.3 0.1
H 0.11126 4.65933 0.84170 -0.1 0.8 0.1
O 3.86342 -2.25555 6.71493 0.4 0.5 -0.3
O 3.97945 4.73495 -3.59420 0.4 -0.8 0.7
H -3.34713 6.07030 -0.62017 -0.7 -0.8 -0.1
>>>

  • Romance Writers Weekly ~ It Smells Like…

    Hello fellow bloggers and readers. It’s almost the end of August and still hot as blazes here in Northern California! I’m ready for cool weather, fire pits, sweatshirts, and soup. The heat is too much and I’m done with it! If you missed what the talented PG Forte had to say, just click and pop…

  • Romance Writers Weekly ~ My Writing Journey

    Happy Tuesday fellow readers. I hope everyone had a great weekend. We’re back at it with the blog hop. If you missed what the incredible Leslie Hachtel had to say, just click and pop back. Today our topic is: when did you start to write and why? I began my writers journey when I was…

  • Romance Writers Weekly ~ Spicy Smoky S’mores Bars

    Welcome fellow authors and readers! I hope everyone is enjoying the last bits of summer vacation before school starts. Unfortunately my kids start school before swim team ends. We didn’t get to go on any family vacation to the mountains this year. I’m hoping when we get a short holiday we can go somewhere, even…

  • Romance Writers Weekly ~ Past Memories

**Records of molecules that have nothing to do with the text**
65
Properties=species:S:1:pos:R:3:forces:R:3 method="wB97M-V/def2-TZVPD" total_charge=+4 e_homo_ev="-18.7 / -19.9" relative_energy_kj_mol=36.2 e_lumo_ev="-11.9 / -14.8" orbital_gap_ev="6.84 / 5.11" multiplicity=5
P -1.4527 -3.1529 -0.3826 -1.5 -0.2 1.4
C -2.4132 -3.9447 0.8973 -0.1 -0.8 0.0
H -2.8887 -4.8397 0.4656 0.1 0.1 0.3
H -3.1716 -3.2453 1.2874 0.3 -0.3 -0.3
H -1.7557 -4.2458 1.7272 -0.2 0.0 -0.2
C -2.4833 -2.7446 -1.7839 0.0 0.6 -0.3
H -1.8616 -2.4172 -2.6272 -0.2 -0.1 0.1
H -3.1971 -1.9457 -1.5374 0.2 -0.3 0.0
H -3.0484 -3.6408 -2.0754 0.2 0.1 0.1
C -0.0249 -4.0747 -0.9058 0.6 0.0 0.1
H -0.3551 -4.8865 -1.5703 0.0 0.1 0.2
H 0.4778 -4.5154 -0.0344 -0.1 0.1 -0.2
H 0.6883 -3.4308 -1.4422 -0.3 -0.3 0.2
P 3.4522 -0.3464 0.8478 0.4 0.5 -0.2
C 2.3776 -0.7635 2.2290 -0.3 0.0 -0.1
H 2.9798 -0.8126 3.1470 -0.1 0.0 -0.2
H 1.9090 -1.7338 2.0289 0.1 0.1 0.2
H 1.6014 0.0059 2.3138 0.2 -0.3 0.2
C 4.7144 -1.6307 0.7353 0.1 -0.2 -0.3
H 5.2603 -1.5348 -0.2109 0.0 0.0 0.3
H 4.2336 -2.6153 0.7627 0.1 0.1 0.0
H 5.4195 -1.5502 1.5710 -0.1 0.0 -0.1
C 4.2582 1.2129 1.2688 0.1 0.2 -0.1
H 5.0070 1.0589 2.0552 -0.1 0.0 -0.1
H 3.5022 1.9236 1.6218 0.1 -0.1 0.0
H 4.7456 1.6344 0.3816 0.0 -0.1 0.3
P -1.2980 3.5863 0.1206 -1.7 -0.1 2.0
C -2.2476 3.9910 1.5858 -0.3 0.7 -0.1
H -3.0953 4.6219 1.2788 0.1 -0.1 0.3
H -1.6092 4.5504 2.2865 -0.2 -0.1 -0.2
H -2.6168 3.0652 2.0603 0.2 0.4 -0.3
C -0.5018 4.9989 -0.6232 0.9 -0.1 -0.2
H -1.2451 5.8054 -0.7309 0.0 -0.3 0.1
H -0.1141 4.7435 -1.6213 -0.2 0.1 0.3
H 0.3302 5.3605 -0.0018 -0.3 0.0 -0.1
C -2.3612 2.7303 -1.0316 0.2 -0.2 -0.4
H -2.9337 3.4904 -1.5861 0.2 -0.1 0.1
H -3.0572 2.0738 -0.4837 0.3 0.3 0.0
H -1.7660 2.1319 -1.7341 -0.2 0.2 0.0
Pt 2.3683 -0.0639 -1.3831 3.2 -2.3 8.3
C -0.8952 -1.5775 0.3300 1.4 0.7 -1.2
O -0.9824 -0.6721 1.0670 -0.3 -1.1 -0.2
C -0.1538 2.3300 0.8003 1.5 -0.1 -1.9
O 0.1757 1.5629 1.6206 -0.7 0.9 0.3
C 2.3624 1.5351 -2.7658 -0.1 1.5 -1.0
C 1.0578 1.2967 -2.2675 -1.2 0.9 -1.1
C 0.5144 -0.0158 -2.3280 -1.5 0.3 -1.3
C 1.2737 -1.0664 -2.9014 -1.1 -0.5 -1.2
C 2.5913 -0.8306 -3.3429 0.0 -0.5 -1.8
C 3.1336 0.4725 -3.2819 0.6 0.4 -1.7
H 2.8111 2.5189 -2.6402 0.0 -0.2 0.0
H 0.5174 2.0896 -1.7485 0.2 -0.3 -0.2
H -0.4444 -0.2370 -1.8610 0.2 0.1 -0.1
H 0.8861 -2.0834 -2.8790 0.2 0.3 -0.1
H 3.2170 -1.6618 -3.6561 0.0 0.1 0.0
H 4.1748 0.6330 -3.5496 -0.1 0.0 0.0
N -2.1088 -0.6027 3.6515 -0.1 0.0 0.4
N -3.0716 -0.2741 2.7130 0.7 -0.1 -2.7
N -3.5052 -1.2339 1.8535 -0.4 2.0 0.7
C -3.8934 -0.4887 0.8066 0.0 -0.4 0.8
N -3.6297 0.8134 0.9640 0.5 -0.1 1.4
N -3.0420 0.9452 2.1652 -1.2 -1.7 -0.6
H -2.0950 0.1204 4.3651 -0.1 -0.1 0.2
H -2.3312 -1.5135 4.0427 -0.2 0.2 0.2
H -4.3896 -0.9102 -0.0641 0.0 0.2 0.3

70
Properties=species:S:1:pos:R:3:forces:R:3 method="wB97M-V/def2-TZVPD" total_charge=-1 e_homo_ev=-5.9 e_lumo_ev=1.9 orbital_gap_ev=7.85
N 18.3293 7.3857 11.2134 -0.1 1.5 -0.9
O 19.5600 7.5355 11.1086 -0.3 -0.5 0.2
O 17.7530 7.7079 12.2858 0.1 -0.8 -0.7
O 17.6422 7.0876 10.2017 0.2 -0.4 0.7

    Hello and welcome! It’s good to be back. I’ve spent this summer on a pool deck coaching swimming to kids of all ages. It’s been busy, crazy and fun. Now that I have a bit of a break before clinics start I can get back to some writing. If you missed what the incredible Andie…